Work order =
Say how many lines of the entries further below hold the word "entry", as a bare number, please.

Listing =
____________
DFT (ωB97M-V/def2-TZVPD) results for a molecular structure, C22H24ClN4O2PPdS5.

Output
Net charge = -1
Spin multiplicity = 6
Total energy = -112729.110 eV
Kohn-Sham gap (alpha / beta) = 4.8 / 5.4 eV
LUMO level (alpha / beta) = 0.087 / 0.014 Eh
ΔE to the lowest compared entry with this formula, charge and spin = 4.94 kcal per mole
HOMO energy (alpha / beta) = -2.48 / -5.07 eV

Each line ends with the natural charge from an NBO analysis.
Element x y z (Å)
Pd (-0.33984, -0.02109, 0.25065)  0.65
S (1.40541, 0.41941, 1.83526)  -0.05
C (1.38699, 2.12985, 1.75158)  -0.26
C (2.52034, 2.90122, 1.96837)  -0.18
C (2.50609, 4.29133, 1.93634)  -0.22
C (3.68507, 5.01672, 2.14336)  0.26
N (4.66442, 5.61373, 2.31741)  -0.39
C (1.22871, 4.98086, 1.66136)  -0.26
C (0.07147, 4.21318, 1.52541)  -0.13
C (0.08871, 2.82565, 1.53480)  -0.32
S (-1.32044, 1.89680, 1.29868)  0.02
C (1.18006, 6.36941, 1.49326)  0.28
N (1.12804, 7.51882, 1.34276)  -0.39
H (3.45946, 2.39388, 2.15369)  0.23
H (-0.87041, 4.71761, 1.34125)  0.22
C (-2.47668, -5.59932, -1.42856)  -0.63
C (-3.33809, -4.53638, -0.78615)  -0.06
O (-2.60897, -3.92572, 0.29926)  -0.83
P (-2.25144, -2.38032, 0.19740)  1.67
S (-1.12819, -1.85747, 1.74450)  -0.52
S (-1.34082, -1.80460, -1.47619)  -0.68
O (-3.73834, -1.77081, 0.27019)  -0.85
C (-3.99442, -0.37688, -0.00018)  -0.06
C (-4.71438, 0.23154, 1.17840)  -0.63
H (-3.03987, -6.13324, -2.19565)  0.21
H (-2.14065, -6.31827, -0.68103)  0.21
H (-1.60188, -5.14363, -1.89222)  0.22
H (-4.24768, -4.95529, -0.35341)  0.18
H (-3.62975, -3.77612, -1.51376)  0.19
H (-4.58264, -0.33466, -0.91846)  0.18
H (-3.05948, 0.14407, -0.19076)  0.20
H (-5.63756, -0.30926, 1.39176)  0.20
H (-4.95858, 1.27331, 0.96806)  0.22
H (-4.07535, 0.20077, 2.06139)  0.23
S (-0.58240, 1.77641, -2.11938)  -0.26
C (0.97773, 2.38652, -2.26260)  0.32
N (1.58990, 3.17003, -1.37503)  -0.59
C (2.94920, 3.51644, -1.74789)  -0.22
C (3.18255, 2.61385, -2.97484)  -0.23
N (1.83119, 2.16475, -3.29408)  -0.61
H (1.11554, 3.49199, -0.54568)  0.45
H (3.64200, 3.30138, -0.93334)  0.22
H (3.02719, 4.57620, -2.00179)  0.20
H (3.83223, 1.76888, -2.73033)  0.20
H (3.61866, 3.16501, -3.80746)  0.20
H (1.64978, 1.36900, -3.87987)  0.41
Cl (4.70309, 0.52525, 0.04206)  -0.03
C (4.04142, -1.07440, 0.20496)  0.11
C (4.67798, -1.96005, 1.04576)  -0.27
C (4.15362, -3.23456, 1.22405)  -0.20
C (2.99097, -3.61374, 0.55489)  -0.21
C (2.35734, -2.73063, -0.28652)  -0.17
C (2.85865, -1.41838, -0.49669)  -0.19
C (2.15291, -0.51803, -1.29633)  -0.32
H (5.57195, -1.64618, 1.56708)  0.22
H (4.64740, -3.92242, 1.89814)  0.21
H (2.56971, -4.59861, 0.70985)  0.21
H (1.43129, -3.00292, -0.77837)  0.23
H (1.36667, -0.87974, -1.94145)  0.21
H (2.45787, 0.50930, -1.37926)  0.19

Cartesian forces, eV/Å:
-0.40 -0.13 0.08
0.34 0.14 -0.10
-0.11 0.10 0.13
0.06 -0.18 0.04
-0.01 -0.27 -0.04
0.40 0.19 0.10
-0.05 -0.06 -0.05
-0.32 -0.21 -0.02
-0.07 0.14 -0.09
0.18 -0.10 -0.01
-0.24 0.11 -0.04
-0.12 0.50 -0.03
0.02 -0.13 0.02
0.01 0.00 0.00
0.03 0.00 -0.01
0.03 0.01 0.02
-0.04 -0.03 0.00
0.02 -0.11 -0.18
0.13 0.54 0.18
-0.16 -0.15 0.28
-0.12 0.02 -0.12
0.09 -0.12 -0.11
-0.05 -0.07 0.01
-0.01 -0.03 0.04
-0.03 0.01 -0.01
-0.01 0.00 0.00
0.00 0.01 0.01
0.03 0.00 0.01
0.01 -0.01 0.00
-0.04 -0.01 0.04
0.11 0.06 -0.04
0.01 0.00 0.00
0.01 0.02 -0.02
-0.01 -0.01 0.00
0.23 -0.24 -0.09
-0.12 0.16 0.21
-0.05 -0.12 -0.06
0.09 0.08 0.06
0.10 0.00 -0.04
-0.11 -0.01 -0.03
-0.01 0.07 0.09
-0.02 0.03 -0.02
-0.02 -0.02 0.02
-0.02 0.01 0.00
0.02 -0.03 0.02
0.00 -0.01 -0.04
0.04 -0.01 -0.04
-0.09 0.00 0.03
-0.02 0.04 -0.05
0.03 -0.07 0.05
-0.01 -0.03 0.01
0.10 0.08 -0.06
0.02 -0.12 0.17
0.27 -0.14 -0.51
0.00 -0.01 0.01
-0.01 -0.01 -0.01
0.02 0.00 0.02
-0.01 0.02 0.00
-0.16 0.05 0.10
0.03 0.05 0.07

~~~~~

1.
____________

Worked solution =
1